September 30, 2013

The Perfect Gift

Students in class

In his October 2013 general conference address, Elder M. Russell Ballard of the Quorum of the Twelve Apostles mentioned a specific gift that each of us could give the Savior for Christmas. He stated “that if every member, young and old, will reach out to just ‘one’ between now and Christmas, millions will feel the love of the Lord Jesus Christ. And what a wonderful gift to the Savior” (“Put Your Trust in the Lord,” Ensign or Liahona, Nov. 2013, 45).

Two students in the Salt Lake City Utah West Campus Seminary program reached out and saw someone’s life change as a result.

Jacqueline Ibarra and Jocelynne Gonzalez are currently enrolled in seminary before school. Because they start each day with seminary, they often talk throughout the day about what they learned in class.

“We would just talk about what we would learn in class and our experiences,” explained Jocelynne, “and it just kind of grew from there.”

[Materials data from another source follow]
'''
Calculated PXRD pattern
Compound: ErAl10Tc2
Radiation: Cu Kα X-rays
Structure: a structure optimized by DFT (PBE)
No peak broadening, texture or thermal motion is included.

Peak list (8 most intense, 5° ≤ 2θ ≤ 70°, sorted by position)
2θ (°)	d_spacing	Rel. int.
16.16	5.486	34
17.16	5.169	35
27.56	3.236	51
34.05	2.633	35
39.31	2.292	34
39.49	2.282	87
40.07	2.250	100
57.43	1.605	41

Crystal structure
abc: 6.899 6.899 9.169
angles: 90.00 90.00 97.05
Positions (direct):
Er 0.129 0.871 0.750
Er 0.871 0.129 0.250
Al 0.140 0.409 0.750
Al 0.150 0.850 0.097
Al 0.150 0.850 0.403
Al 0.214 0.473 0.250
Al 0.227 0.227 0.000
Al 0.227 0.227 0.500
Al 0.375 0.625 0.538
Al 0.375 0.625 0.962
Al 0.409 0.140 0.250
Al 0.473 0.214 0.750
Al 0.527 0.786 0.250
Al 0.591 0.860 0.750
Al 0.625 0.375 0.038
Al 0.625 0.375 0.462
Al 0.773 0.773 0.000
Al 0.773 0.773 0.500
Al 0.786 0.527 0.750
Al 0.850 0.150 0.597
Al 0.850 0.150 0.903
Al 0.860 0.591 0.250
Tc 0.000 0.500 0.000
Tc 0.000 0.500 0.500
Tc 0.500 0.000 0.000
Tc 0.500 0.000 0.500

=====

Calculated PXRD pattern
Compound: Ce3SiPt
Radiation: Cu Kα X-rays
Structure: a structure optimized by DFT (PBE)
No peak broadening, texture or thermal motion is included.

Peak list (8 most intense, 5° ≤ 2θ ≤ 70°, sorted by position)
2θ (°)	d_spacing	Rel. int.
23.65	3.761	28
27.04	3.297	21
30.95	2.890	27
33.62	2.665	100
36.97	2.431	34
38.61	2.332	64
56.82	1.620	33
57.87	1.593	25

Crystal structure
abc: 7.778 7.778 7.778
angles: 48.37 48.37 48.37
Positions (direct):
Ce 0.260 0.260 0.714
Ce 0.260 0.714 0.260
Ce 0.286 0.740 0.740
Ce 0.714 0.260 0.260
Ce 0.740 0.286 0.740
Ce 0.740 0.740 0.286
Si 0.292 0.292 0.292
Si 0.708 0.708 0.708
Pt 0.177 0.177 0.177
Pt 0.823 0.823 0.823

=====

Calculated PXRD pattern
Compound: HoTm4Ag5
Radiation: Cu Kα X-rays
Structure: a structure optimized by DFT (PBE)
No peak broadening, texture or thermal motion is included.

Peak list (8 most intense, 5° ≤ 2θ ≤ 70°, sorted by position)
2θ (°)	d_spacing	Rel. int.
24.34	3.657	2
25.01	3.560	4
35.18	2.551	100
35.66	2.518	48
49.87	1.828	9
51.32	1.780	17
62.81	1.479	18
63.75	1.460	35

Crystal structure
abc: 3.560 3.560 18.284
angles: 90.00 90.00 90.00
Positions (direct):
Ho 0.000 0.000 0.000
Tm 0.000 0.000 0.201
Tm 0.000 0.000 0.400
Tm 0.000 0.000 0.600
Tm 0.000 0.000 0.799
Ag 0.500 0.500 0.102
Ag 0.500 0.500 0.301
Ag 0.500 0.500 0.500
Ag 0.500 0.500 0.699
Ag 0.500 0.500 0.898

=====

Calculated PXRD pattern
Compound: CuAs2SeF
Radiation: Cu Kα X-rays
Structure: a structure optimized by DFT (PBE)
No peak broadening, texture or thermal motion is included.

Peak list (7 most intense, 5° ≤ 2θ ≤ 70°, sorted by position)
2θ (°)	d_spacing	Rel. int.
16.92	5.242	1
20.75	4.282	2
34.21	2.621	100
40.35	2.235	1
42.21	2.141	27
55.42	1.658	23
61.24	1.513	22

Crystal structure
abc: 4.282 4.282 5.242
angles: 90.00 90.00 90.00
Positions (direct):
Cu 0.000 0.000 0.000
As 0.000 0.500 0.500
As 0.500 0.000 0.500
Se 0.500 0.500 0.000
F 0.500 0.500 0.500

=====

Calculated PXRD pattern
'''

Jacqueline and Jocelynne happened to be friends with Marisol Rivera, who is not a member of the Church and comes from a Catholic background. Most of Marisol’s friends were LDS, and she learned a lot about the Church by listening to them talk about what they had learned in seminary each morning.

Marisol noticed something different about her LDS friends and became curious about the Church. “They seem to have guidance. They seem to know what to do most of the time—how to decide between wrong and right,” Marisol said. “I just wanted to be like that, to be able to know what’s wrong and right without doubting myself.”

Although Marisol declined Jacqueline’s initial invitation to attend early-morning seminary, she was still very interested in the Church. So, wanting to know more and knowing she could find the answers to her questions in seminary, she enrolled herself in a released-time seminary class.

“I just wanted another time to read and learn about what this really is about,” said Marisol. “It’s different than anything else I’ve experienced before.”

Marisol loved her first day in seminary. “We would read a scripture, and other people would give their input on what it meant to them. It was fun hearing how one scripture could be taken in many different ways.”

Before long, Marisol was attending seminary regularly and learning as much as she could. In fact, she recently gave the devotional in her seminary class and shared her testimony of the Holy Ghost. Marisol has even started sharing the gospel with her cousin, who has become curious about the Church since Marisol started attending seminary.

Roughly 25 percent of the students at West High School are LDS, and the seminary faculty members know that they, along with their students, have a great opportunity and responsibility to share the gospel with the nonmembers and less-active members there.

Adam Spere, the seminary principal, said, “We just try to get them [nonmembers and less-active members] in the building where we can meet them and they can ask questions.”

Twice each year the seminary collaborates with the six surrounding stakes to provide dessert for the students at the seminary building during lunchtime. This is a great opportunity for students to invite friends to come to the seminary building, meet the teachers, and see what it’s all about.

The blessings of seminary are a gift to those who attend, and each person who attends is a gift to the Savior. In Luke 15:4–6, He taught:

“What man of you, having an hundred sheep, if he lose one of them, doth not leave the ninety and nine in the wilderness, and go after that which is lost, until he find it?

“And when he hath found it, he layeth it on his shoulders, rejoicing.

“And when he cometh home, he calleth together his friends and neighbours, saying unto them, Rejoice with me; for I have found my sheep which was lost.”

To those who are unsure about inviting their friends to seminary, Jacqueline gives these words of encouragement: “It just takes 30 seconds of courage, and it could save someone’s life.”